Exercise:
Start at the top of the block further down and give back each line, ending with the one that has "0.53 0.71", please.
Listing:
(1)
Computed, not measured: a cluster of 11 separate species, C49H99NO21S10 in total, with wB97M-V/def2-TZVPD.

CARTESIAN COORDINATES (ANGSTROEM)
C: -4.59 2.33 -0.27
C: -3.87 2.00 1.05
C: -3.38 3.35 1.53
S: -4.77 4.54 1.12
O: -4.40 5.71 0.34
O: -5.63 4.68 2.27
C: -5.67 3.41 0.03
H: -5.12 1.42 -0.58
H: -3.95 2.76 -1.03
H: -3.12 1.25 0.81
H: -4.63 1.56 1.70
H: -2.55 3.71 0.92
H: -3.16 3.44 2.60
H: -5.99 4.03 -0.81
H: -6.49 2.99 0.61
C: 1.38 1.38 -5.51
C: 0.35 0.57 -6.30
C: 0.02 1.45 -7.52
S: 1.60 1.94 -8.22
O: 1.46 3.20 -8.93
O: 2.31 0.84 -8.92
C: 2.27 2.15 -6.51
H: 1.97 0.69 -4.90
H: 0.89 2.11 -4.87
H: -0.56 0.41 -5.72
H: 0.72 -0.41 -6.62
H: -0.40 2.43 -7.30
H: -0.51 0.98 -8.35
H: 1.94 3.17 -6.30
H: 3.34 2.08 -6.32
C: 1.78 -2.11 6.08
C: 1.98 -2.55 4.68
C: 3.46 -2.22 4.35
S: 4.42 -2.80 5.85
O: 5.60 -2.01 6.25
O: 4.43 -4.30 5.81
C: 2.99 -2.39 6.97
H: 0.91 -2.43 6.65
H: 1.61 -1.03 6.14
H: 1.36 -1.98 3.98
H: 1.94 -3.62 4.50
H: 3.66 -1.16 4.49
H: 3.97 -2.57 3.45
H: 3.30 -1.48 7.49
H: 2.86 -3.11 7.78
C: 3.46 4.54 4.56
C: 2.09 3.90 4.00
C: 1.44 3.13 5.30
S: 2.99 2.34 6.04
O: 3.01 0.94 5.61
O: 2.89 2.69 7.47
C: 4.29 3.42 5.16
H: 3.16 5.29 5.29
H: 3.99 5.18 3.86
H: 2.33 3.24 3.18
H: 1.42 4.66 3.60
H: 0.64 2.44 5.06
H: 1.03 3.82 6.04
H: 4.56 2.74 4.34
H: 5.08 3.59 5.88
C: -2.32 -4.63 -4.90
C: -1.45 -4.36 -3.69
C: -2.39 -4.51 -2.40
S: -3.84 -5.60 -2.99
O: -5.13 -4.85 -3.05
O: -3.73 -6.92 -2.28
C: -3.14 -5.83 -4.64
H: -1.73 -4.77 -5.80
H: -2.86 -3.71 -5.10
H: -0.93 -3.41 -3.76
H: -0.65 -5.09 -3.52
H: -2.81 -3.58 -2.00
H: -2.02 -5.07 -1.55
H: -3.93 -6.01 -5.37
H: -2.50 -6.71 -4.60
C: 2.32 -6.26 -1.32
C: 2.60 -6.73 0.20
C: 3.19 -5.52 0.92
S: 2.31 -4.00 0.25
O: 3.24 -3.04 -0.34
O: 1.17 -3.59 1.03
C: 1.52 -5.00 -1.17
H: 1.74 -7.10 -1.69
H: 3.21 -6.04 -1.91
H: 3.26 -7.59 0.27
H: 1.68 -7.07 0.67
H: 4.24 -5.41 0.64
H: 3.13 -5.42 2.00
H: 1.61 -4.29 -1.99
H: 0.54 -5.26 -0.76
C: 0.32 6.67 -1.52
C: 1.21 7.56 -0.65
C: 1.27 6.72 0.65
S: -0.48 6.24 1.12
O: -1.09 7.40 1.72
O: -0.47 4.92 1.72
C: -0.92 6.11 -0.67
H: 0.93 5.85 -1.92
H: 0.02 7.16 -2.45
H: 0.80 8.53 -0.36
H: 2.20 7.83 -1.01
H: 1.82 7.16 1.48
H: 1.87 5.86 0.35
H: -1.92 6.54 -0.76
H: -0.97 5.03 -0.81
C: -6.25 -1.80 -5.74
C: -6.33 -1.68 -4.23
C: -4.91 -1.55 -3.59
S: -4.01 -0.43 -4.73
O: -2.68 -1.00 -4.91
O: -4.22 0.98 -4.34
C: -5.10 -0.79 -6.19
H: -7.28 -1.60 -6.04
H: -5.87 -2.79 -5.99
H: -6.87 -2.52 -3.78
H: -6.96 -0.84 -3.96
H: -4.38 -2.50 -3.55
H: -4.84 -1.14 -2.59
H: -4.54 -1.19 -7.04
H: -5.47 0.13 -6.64
C: 6.53 1.11 -0.61
C: 5.97 -0.01 -1.53
C: 6.16 -1.32 -0.74
S: 6.72 -0.97 0.99
O: 8.18 -1.08 1.14
O: 5.85 -1.69 1.87
C: 6.17 0.82 0.88
H: 6.12 2.08 -0.90
H: 7.59 1.30 -0.80
H: 6.67 -0.11 -2.36
H: 4.95 0.18 -1.84
H: 6.72 -2.16 -1.16
H: 5.15 -1.73 -0.66
H: 6.80 1.32 1.62
H: 5.09 1.00 0.93
C: -2.56 -1.67 5.15
C: -2.79 -0.25 4.65
C: -3.94 0.33 5.44
S: -5.23 -1.02 5.64
O: -6.11 -0.94 4.49
O: -5.66 -1.10 7.05
C: -3.97 -2.39 5.20
H: -2.09 -1.75 6.13
H: -1.94 -2.28 4.49
H: -2.98 -0.38 3.58
H: -1.87 0.27 4.90
H: -4.42 1.22 5.05
H: -3.79 0.58 6.49
H: -4.33 -2.91 4.32
H: -3.92 -3.16 5.97
C: 2.02 0.17 0.90
C: 0.53 0.71 0.90
C: 0.54 2.06 0.10
C: 0.57 1.88 -1.43
C: -0.51 0.89 -1.91
C: -0.54 -0.47 -1.13
N: -0.41 -0.24 0.30
O: -0.73 -1.33 1.09
C: -1.96 -1.08 -1.48
C: 0.51 -1.40 -1.72
C: 0.08 1.07 2.39
H: 2.51 0.66 1.75
H: 2.68 0.36 0.05
H: 2.10 -0.90 1.05
H: -0.40 2.61 0.17
H: 1.31 2.71 0.50
H: 1.58 1.58 -1.74
H: 0.40 2.89 -1.79
H: -0.56 0.58 -2.95
H: -1.48 1.37 -1.88
H: -2.74 -0.36 -1.26
H: -2.03 -1.37 -2.53
H: -2.14 -2.01 -0.96
H: 1.56 -1.18 -1.54
H: 0.49 -2.39 -1.27
H: 0.39 -1.62 -2.78
H: -0.97 1.32 2.34
H: 0.53 2.01 2.72
H: 0.20 0.26 3.11
H: 0.06 -1.87 1.07

Computed properties:
2S+1 = 1
Electronic energy = -205249.0252 eV
Energy above the lowest of the compared OMol25 structures with the same formula, charge and spin = 25.3 kcal/mol
Net charge = 0
Worked solution:
(1)
Computed, not measured: a cluster of 11 separate species, C49H99NO21S10 in total, with wB97M-V/def2-TZVPD.

CARTESIAN COORDINATES (ANGSTROEM)
C: -4.59 2.33 -0.27
C: -3.87 2.00 1.05
C: -3.38 3.35 1.53
S: -4.77 4.54 1.12
O: -4.40 5.71 0.34
O: -5.63 4.68 2.27
C: -5.67 3.41 0.03
H: -5.12 1.42 -0.58
H: -3.95 2.76 -1.03
H: -3.12 1.25 0.81
H: -4.63 1.56 1.70
H: -2.55 3.71 0.92
H: -3.16 3.44 2.60
H: -5.99 4.03 -0.81
H: -6.49 2.99 0.61
C: 1.38 1.38 -5.51
C: 0.35 0.57 -6.30
C: 0.02 1.45 -7.52
S: 1.60 1.94 -8.22
O: 1.46 3.20 -8.93
O: 2.31 0.84 -8.92
C: 2.27 2.15 -6.51
H: 1.97 0.69 -4.90
H: 0.89 2.11 -4.87
H: -0.56 0.41 -5.72
H: 0.72 -0.41 -6.62
H: -0.40 2.43 -7.30
H: -0.51 0.98 -8.35
H: 1.94 3.17 -6.30
H: 3.34 2.08 -6.32
C: 1.78 -2.11 6.08
C: 1.98 -2.55 4.68
C: 3.46 -2.22 4.35
S: 4.42 -2.80 5.85
O: 5.60 -2.01 6.25
O: 4.43 -4.30 5.81
C: 2.99 -2.39 6.97
H: 0.91 -2.43 6.65
H: 1.61 -1.03 6.14
H: 1.36 -1.98 3.98
H: 1.94 -3.62 4.50
H: 3.66 -1.16 4.49
H: 3.97 -2.57 3.45
H: 3.30 -1.48 7.49
H: 2.86 -3.11 7.78
C: 3.46 4.54 4.56
C: 2.09 3.90 4.00
C: 1.44 3.13 5.30
S: 2.99 2.34 6.04
O: 3.01 0.94 5.61
O: 2.89 2.69 7.47
C: 4.29 3.42 5.16
H: 3.16 5.29 5.29
H: 3.99 5.18 3.86
H: 2.33 3.24 3.18
H: 1.42 4.66 3.60
H: 0.64 2.44 5.06
H: 1.03 3.82 6.04
H: 4.56 2.74 4.34
H: 5.08 3.59 5.88
C: -2.32 -4.63 -4.90
C: -1.45 -4.36 -3.69
C: -2.39 -4.51 -2.40
S: -3.84 -5.60 -2.99
O: -5.13 -4.85 -3.05
O: -3.73 -6.92 -2.28
C: -3.14 -5.83 -4.64
H: -1.73 -4.77 -5.80
H: -2.86 -3.71 -5.10
H: -0.93 -3.41 -3.76
H: -0.65 -5.09 -3.52
H: -2.81 -3.58 -2.00
H: -2.02 -5.07 -1.55
H: -3.93 -6.01 -5.37
H: -2.50 -6.71 -4.60
C: 2.32 -6.26 -1.32
C: 2.60 -6.73 0.20
C: 3.19 -5.52 0.92
S: 2.31 -4.00 0.25
O: 3.24 -3.04 -0.34
O: 1.17 -3.59 1.03
C: 1.52 -5.00 -1.17
H: 1.74 -7.10 -1.69
H: 3.21 -6.04 -1.91
H: 3.26 -7.59 0.27
H: 1.68 -7.07 0.67
H: 4.24 -5.41 0.64
H: 3.13 -5.42 2.00
H: 1.61 -4.29 -1.99
H: 0.54 -5.26 -0.76
C: 0.32 6.67 -1.52
C: 1.21 7.56 -0.65
C: 1.27 6.72 0.65
S: -0.48 6.24 1.12
O: -1.09 7.40 1.72
O: -0.47 4.92 1.72
C: -0.92 6.11 -0.67
H: 0.93 5.85 -1.92
H: 0.02 7.16 -2.45
H: 0.80 8.53 -0.36
H: 2.20 7.83 -1.01
H: 1.82 7.16 1.48
H: 1.87 5.86 0.35
H: -1.92 6.54 -0.76
H: -0.97 5.03 -0.81
C: -6.25 -1.80 -5.74
C: -6.33 -1.68 -4.23
C: -4.91 -1.55 -3.59
S: -4.01 -0.43 -4.73
O: -2.68 -1.00 -4.91
O: -4.22 0.98 -4.34
C: -5.10 -0.79 -6.19
H: -7.28 -1.60 -6.04
H: -5.87 -2.79 -5.99
H: -6.87 -2.52 -3.78
H: -6.96 -0.84 -3.96
H: -4.38 -2.50 -3.55
H: -4.84 -1.14 -2.59
H: -4.54 -1.19 -7.04
H: -5.47 0.13 -6.64
C: 6.53 1.11 -0.61
C: 5.97 -0.01 -1.53
C: 6.16 -1.32 -0.74
S: 6.72 -0.97 0.99
O: 8.18 -1.08 1.14
O: 5.85 -1.69 1.87
C: 6.17 0.82 0.88
H: 6.12 2.08 -0.90
H: 7.59 1.30 -0.80
H: 6.67 -0.11 -2.36
H: 4.95 0.18 -1.84
H: 6.72 -2.16 -1.16
H: 5.15 -1.73 -0.66
H: 6.80 1.32 1.62
H: 5.09 1.00 0.93
C: -2.56 -1.67 5.15
C: -2.79 -0.25 4.65
C: -3.94 0.33 5.44
S: -5.23 -1.02 5.64
O: -6.11 -0.94 4.49
O: -5.66 -1.10 7.05
C: -3.97 -2.39 5.20
H: -2.09 -1.75 6.13
H: -1.94 -2.28 4.49
H: -2.98 -0.38 3.58
H: -1.87 0.27 4.90
H: -4.42 1.22 5.05
H: -3.79 0.58 6.49
H: -4.33 -2.91 4.32
H: -3.92 -3.16 5.97
C: 2.02 0.17 0.90
C: 0.53 0.71 0.90